Check if a number is prime

Author: John Pratt
Date Of Creation: 9 April 2021
Update Date: 26 June 2024
Fool-Proof Test for Primes - Numberphile
Video: Fool-Proof Test for Primes - Numberphile

(Inserted here: calculated molecules)
<<<
No. 1
ORCA calculation (ωB97M-V/def2-TZVPD) on a cluster of 2 separate species, CH5NO2 in total in a non-equilibrium geometry.

Geometry (Å):
N: -0.376702 -1.114536 -0.353836
H: -0.646971 -1.799635 -2.243902
H: 0.093798 -0.017754 -2.000554
O: 1.903101 1.361830 1.502454
H: 2.371340 1.131123 0.650243
H: 0.985858 1.178384 1.208304
C: -0.412703 -0.975640 -1.638935
O: -0.157531 -0.383978 0.613955
H: -0.674291 -2.047861 -0.159071

Force components x, y, z for each atom (eV/Å):
-1.198 -1.513 -1.515
-0.271 -0.875 -0.515
-1.241 -1.406 0.113
0.105 -0.380 -2.021
-0.429 0.424 1.552
0.476 -0.008 0.534
2.453 3.884 0.297
0.521 1.090 0.437
-0.417 -1.215 1.117

SMILES string: C=[NH+][O-].O
Total charge: 0
LUMO energy: 0.69 eV
HOMO energy: -9.707 eV
Energy: -246.2315 hartree

No. 2
ORCA calculation (ωB97M-V/def2-TZVPD) on a cluster of 2 separate species, CH5NO2 in total in a non-equilibrium geometry.

Geometry (Å):
O: 0.231711 -0.857434 -0.886639
H: -1.844537 -0.800876 -0.501377
H: 1.365929 1.534428 0.439288
O: -1.353035 -1.687985 -2.206666
C: -1.033560 -1.157366 -1.163959
N: 0.760779 0.970393 1.079508
H: 0.150645 1.557144 1.684650
H: 0.307782 -0.130779 -0.211475
H: 1.414284 0.572475 1.766670

Force components x, y, z for each atom (eV/Å):
-0.229 0.168 0.119
0.564 -0.027 0.456
-0.941 -0.159 1.002
0.352 -0.046 1.076
-0.598 0.212 -1.964
0.716 0.705 0.634
0.587 -0.178 -1.133
-0.205 -0.562 0.345
-0.247 -0.112 -0.534

SMILES string: O=CO.N
Total charge: 0
LUMO energy: 0.44 eV
HOMO energy: -9.984 eV
Energy: -246.3420 hartree

No. 3
ORCA calculation (ωB97M-V/def2-TZVPD) on an isolated molecule of CH5NO2S in a non-equilibrium geometry.

Geometry (Å):
H: -1.541337 1.295817 -1.313769
N: 1.483591 -0.320752 0.794389
H: 2.327168 0.218906 0.868138
C: -1.002649 0.546129 -0.732263
H: -1.659228 -0.311810 -0.551523
H: -0.716040 0.985657 0.232560
H: 1.170060 -0.747649 1.649654
S: 1.158382 -1.130152 -0.642250
O: 0.114859 0.180410 -1.468937
O: 0.256595 -2.170572 -0.238359

Force components x, y, z for each atom (eV/Å):
-0.004 -0.038 0.019
-0.051 -0.166 -0.670
0.172 0.074 -0.172
-0.520 0.017 0.636
-0.077 0.090 0.011
-0.112 0.012 -0.057
-0.185 -0.228 -0.034
-1.135 3.071 -0.467
2.432 -2.071 0.575
-0.521 -0.760 0.159

Total charge: 0
LUMO energy: 0.63 eV
HOMO energy: -10.009 eV
Energy: -644.4740 hartree

No. 4
ORCA calculation (ωB97M-V/def2-TZVPD) on a structure of composition CH5NO2S in a non-equilibrium geometry.

Geometry (Å):
H: 2.341526 3.117132 -0.902415
H: -0.935374 -4.273417 -2.499550
N: -2.228615 0.344640 0.720242
H: -1.532450 -4.788592 -2.331382
C: 2.110220 2.412917 -0.007484
O: -0.400130 -0.966133 1.836182
H: 2.759298 2.512101 0.908651
O: 1.425326 1.459427 0.005067
H: -2.597528 0.593559 1.706889
S: -0.942273 -0.411635 0.563801

Force components x, y, z for each atom (eV/Å):
-0.796 -0.865 1.046
-1.445 -1.246 0.408
-0.790 1.120 1.052
1.445 1.249 -0.406
3.018 1.402 0.420
-0.191 0.696 -2.147
-0.188 0.879 -0.539
-2.049 -1.405 -0.927
0.927 -0.887 -1.939
0.070 -0.943 3.032
>>>


Prime numbers are numbers that are only divisible by themselves and are called 1 - other numbers compound numbers. When it comes to testing whether a number is prime, there are several options. Some of these methods are relatively simple but not at all practical for larger numbers. Other tests that are often used are actually complete algorithms based on one probability who sometimes mistakenly regard a number as prime. Read on to step 1 to learn how to test yourself if you are dealing with a prime number.

To step

Method 1 of 4: Try to divide

Trying to divide is by far the easiest way to test a number. For small numbers it is usually also the fastest way. The test is based on the definition of a prime number: a number is prime if it is only divisible by itself and 1.

  1. Suppose n is the number you want to test. Divide the number n by all possible divisible integers. For larger numbers such as n = 101, it is hugely impractical to divide by any possible integer less than n. Fortunately, there are several tricks to reduce the number of factors to be tested.
  2. Determine if n even. All even numbers are completely divisible by 2. Therefore, if n is even, you can say that n is a composite number (and therefore not a prime number). To quickly determine whether a number is even, you only have to pay attention to the last digit. If the last digit is a 2, 4, 6, 8 or 0, then the number is even and not prime.
    • The only exception to this rule is the number 2 itself, which, because it is divisible by itself and 1, is also prime. 2 is the only even prime.
  3. Part n by any number between 2 and n-1. Because a prime number has no factors other than itself and 1, and because integer factors are less than their product, checking the divisibility of an integer less than n and greater than 2 will determine whether n is prime. We start after 2 because even numbers (multiples of 2) cannot be prime numbers. This is far from an efficient way to test, as you will see below.
    • For example, if we wanted to use this method to test whether 11 is prime or not, we would divide 11 by 3, 4, 5, 6, 7, 8, 9, and 10, looking for a number each time. integer answer without remainder. Since none of these numbers fit completely into 11, we can say that 11 is one is prime.
  4. To save time, only test up to sqrt (n), rounded up. Testing a number n by checking all numbers between 2 and n-1 can quickly take a lot of time. For example, if we wanted to check if 103 is prime with this method, we would have to divide by 3, 4, 5, 6, 7 ... etc, all the way to 102! Fortunately, it is not necessary to test like this. In practice, it is only necessary to test for the factors between 2 and the square root of n. If the square root of n is not a number, round it to the nearest integer and test to this number. See below for an explanation:
    • Let's examine the factors of 100. 100 = 1 × 100, 2 × 50, 4 × 25, 5 × 20, 10 × 10, 20 × 5, 25 × 4, 50 × 2 and 100 × 1. Note that after 10 × 10, the factors are the same if that for 10 × 10, only then flipped. In general, we can ignore the factors of n greater than sqrt (n) as they are simply a continuation of factors less than sqrt (n).
    • Let's try an example. If n = 37, then we don't need to test all numbers from 3 to 36 to determine if n is prime. Instead, we just need to look at the numbers between 2 and sqrt (37) (rounded up).
      • sqrt (37) = 6.08 - we're going to round this up to 7.
      • 37 is not completely divisible by 3, 4, 5, 6, and 7 and so we can confidently state that it is one prime number is.
  5. To save even more time, we only use prime factors. It is possible to make the process of testing by dividing even shorter by not including those factors that are not prime numbers. By definition, every composite number can be expressed as the product of two or more prime numbers. So dividing the number n by a composite number is unnecessary - this is equivalent to dividing by prime numbers several times. So, we can further narrow the list of possible factors to only prime numbers less than sqrt (n).
    • This means that all even factors, as well as the factors that are multiples of prime numbers, can be skipped.
    • For example, let's try to determine whether 103 is prime or not. The square root of 103 is 11 (rounded up). The prime numbers between 2 and 11 are 3, 5, 7 and 11. 4, 6, 8 and 10 are even and 9 is a multiple of 3, a prime number, so we can skip it. By doing this we've reduced our list of possible factors to just 4 numbers!
      • 103 is not completely divisible by either 3, 5, 7 or 11, so we now know that 103 is one prime number is.

Method 2 of 4: Using Fermat's little theorem

In 1640, the French mathematician Pierre de Fermat first proposed a theorem (now named after him) that can be very helpful in determining whether or not a number is prime. Technically, Fermat's test is intended to verify that a number is composite, rather than prime. This is because the test can show with "absolute certainty" that a number is composite, but only a "probability" that a number is prime. Fermat's little theorem is useful in situations where trying to divide is impractical and when there is a list of numbers available that are exceptions to the theorem.

  1. Suppose n the number is for testing. You use this test to determine whether a given number n is prime. However, as noted above, this theorem may occasionally erroneously characterize some compound as prime. It is important to take this into account and check your answer, which is explained below.
  2. Choose an integer a between 2 and n-1 (inclusive). The exact whole number you choose is not important. Since the parameters for a include 2 and n-1, you can also use them.
    • An example: Is 100 a prime number or not. Suppose we take 3 as a test value - this is between 2 and n-1, so that is sufficient.
  3. calculate a (mod n). Working out this expression requires some knowledge of a mathematical system called modular math. In modular math, numbers return to zero upon reaching a certain value, also known as the modulus. You can think of this like a clock: eventually the hand of the clock will return to 1 o'clock after 12 o'clock, not to 13 o'clock. The modulus is noted as (mod n). So in this step you calculate a with a modulus of n.
    • Another method is to calculate a, then divide it by n, then use the remainder as your answer. Specialized calculators with a modulus function can be very useful when dividing large numbers, because they can immediately calculate the remainder of a division.
    • Using such a calculator in our example, we can see that 3/100 has a remainder of 1. So, 3 (mod 100) is 1.
  4. If we calculate this by hand, we use the exponent as a short format. If you don't have a calculator with a modulus function, use the notation with an exponent to make the procedure for determining the remainder easier. See below:
    • In our example, we calculate 3 with a modulus of 100. 3 is a very, very large number - 515,377,520,732,011,331,036,461,129,765,621,272,702,107,522,001 - so large that it becomes very difficult to work with. Rather than using the 48-digit answer for 3, we better write it as an exponent, so (((((((3)*3))))*3)). Remember, taking the exponent of an exponent has the effect of multiplying the exponents ((x) = x).
      • Now we can determine the rest. Start by solving ((((((3) * 3)))) * 3)) at the inner set of parentheses and work your way out, dividing each step by 100. Once we've found the rest, we'll use that for the next step instead of the actual answer. See below:
        • ((((((9) * 3)))) * 3)) - 9/100 has no remainder, so we can continue.
        • (((((27)))) * 3)) - 27/100 has no remainder, so we can move on.
        • ((((729))) * 3)) - 729/100 = 7 R 29. Our remainder is 29. We continue with the next step, not 729.
        • ((((29=841)) * 3)) - 841/100 = 8 R 41. We use our remainder 41 again in the next step.
        • (((41 = 1681) * 3)) - 1681/100 = 16 R 81. We use our remainder 81 in the next step.
        • ((81*3 = 243)) - 243/100 = 2 R 43. We'll use our remainder 43 in the next step.
        • (43 = 1849) - 1849/100 = 18 R 49. We'll use our remainder 49 in the next step.
        • 49 = 2401 - 2401/100 = 24 R 1. our final remainder is 1. In other words, 3 (mod 100) = 1. Note that this is the same answer as we calculated in the previous step!
  5. Find out if a (mod n) = a (mod n). If not, n is compound. If true then n probably, (but not sure) a prime number. Repeating the test with different values ​​for a can make the outcome more certain, but there are rare composite numbers that satisfy Fermat's theorem for all values ​​of a. These are called the Carmichael numbers - the smallest of these numbers is 561.
    • In our example, 3 (mod 100) = 1 and 3 (mod 100) = 3.1 ≠ 3, so we can say that 100 is a composite number.
  6. Use the Carmichael numbers to be sure of your outcome. Knowing which numbers meet the Carmichael series before proceeding can save you a lot of worry about whether or not a number is prime. In general, Carmichael numbers are the product of individual prime numbers, where for all prime numbers it holds that if p is a divisor of n, then also p-1 is a divisor of n-1. The online list of Carmichael numbers can be very useful for determining whether a number is prime, using Fermat's Small Theorem.

Method 3 of 4: Using the Miller-Rabin Test

The Miller-Rabin test works in the same way as Fermat's small theorem, but deals better with non-standard numbers such as Carmichael numbers.

  1. Suppose n is an odd number which we want to test for primality. As in the methods indicated above, n is the variable of which we want to determine the primality.
  2. Pressure n-1 in the form 2 × d at which d is odd. The number n is prime if it is odd. So n - 1 must be even. Since n - 1 is even, it can be written as a power of 2 times an odd number. So, 4 = 2 × 1; 80 = 2 × 5; and so on.
    • Suppose we want to determine whether n = 321 is prime. 321 - 1 = 320, which we can express as 2 × 5.
      • In this case n = 321 is a suitable number. Determining n - 1 for n = 371 may require a large value for d, making the whole process more difficult at a later stage. 371 - 1 = 370 = 2 × 185
  3. Pick any number a between 2 and n-1. The exact number you choose doesn't matter - just that it must be less than n and greater than 1.
    • In our example with n = 321, we choose a = 100.
  4. calculate a (mod n). If a = 1 or -1 (mod n), then passes n the Miller-Rabin test and is probably a prime number. As with Fermat's Small Theorem, this test cannot determine with absolute certainty the primality of a number, but requires additional tests.
    • In our example with n = 321, a (mod n) = 100 (mod 321). 100 = 10,000,000,000 (mod 321) = 313. We use a special calculator, or the shorthand method with an exponent as described earlier, to find the remainder of 100/321.
      • Since we have not obtained 1 or -1, we cannot say with certainty that n is prime. But there is still more we need to do - read on.
  5. Since the result is not equal to 1 or -1, calculate a, a, ... and so on, up to ad. Calculate a raised to the power of d times, up to 2. If either of these equals 1 or -1 (mod n), then passes n the Miller-Rabin tests and is probably prime. If you have determined that n passes the test, then check your answer (see the step below). If n fails any of these tests, it is one composed number.
    • As a reminder, in our example, the value of a is 100, the value of s is 6, and d is 5. We continue testing as shown below:
      • 100 = 1 × 10.
        • 1 × 10 (mod 321) = 64.64 ≠’ 1 or -1. Keep going calmly.
      • 100 = 1 × 10.
        • 1 × 10 (mod 321) = 244.244 1 or -1.
      • At this point we can stop. s - 1 = 6 - 1 = 5. We have now reached 4d = 2, and there are no powers of 2 times d below 5d. Since none of our calculations answered a 1 or -1, we can say that n = 321 one composed number is.
  6. If n passes the Miller-Rabin test, repeat for the other values ​​of a. If you have found that the value of n could be prime, try again with a different, random value for a to confirm the result of the test. If n is actually prime, it will be true for any value of a. If n is a composite number, it will fail for three-quarters of the values ​​of a. This gives you more certainty than Fermat's Small Theorem, where certain composite numbers (the Carmichael numbers) pass the test for any value of a.

Method 4 of 4: Using the Chinese remainder theorem

  1. Pick two numbers. One of the numbers is not prime and the second is the number being tested for primality.
    • "Test Number1" = 35
    • Test number2 = 97
  2. Choose two data points greater than zero and less than TestNumber1 and TestNumber2, respectively. They cannot be equal to each other.
    • Data1 = 1
    • Data2 = 2
  3. Calculate the MMI (Mathematical Multiplicative Inverse) for TestNumber1 and TestNumber2
    • Calculate the MMI
      • MMI1 = Test Number2 ^ -1 Mod Test Number1
      • MMI2 = Test Number1 ^ -1 Mod Test Number2
    • For prime numbers only (there will be an outcome for non-prime numbers, but that's not the MMI):
      • MMI1 = (TestNumber2 ^ (TestNumber1-2))% TestNumber1
      • MMI2 = (TestNumber1 ^ (TestNumber-2))% TestNumber2
    • So:
      • MMI1 = (97 ^ 33)% 35
      • MMI2 = (35 ^ 95)% 97
  4. Create a binary table for each MMI up to Log2 of the Modulus
    • For the MMI1
      • F (1) = Test Number2% Test Number1 = 97% 35 = 27
      • F (2) = F (1) * F (1)% Test Number1 = 27 * 27% 35 = 29
      • F (4) = F (2) * F (2)% Test Number1 = 29 * 29% 35 = 1
      • F (8) = F (4) * F (4)% Test Number1 = 1 * 1% 35 = 1
      • F (16) = F (8) * F (8)% Test Number1 = 1 * 1% 35 = 1
      • F (32) = F (16) * F (16)% Test Number1 = 1 * 1% 35 = 1
    • Calculate the binary logarithm of TestNumber1 - 2
      • 35 -2 = 33 (10001) base 2
      • MMI1 = F (33) = F (32) * F (1) mod 35
      • MMI1 = F (33) = 1 * 27 Mod 35
      • MMI1 = 27
    • For MMI2
      • F (1) = Test Number1% Test Number2 = 35% 97 = 35
      • F (2) = F (1) * F (1)% Test Number2 = 35 * 35 mod 97 = 61
      • F (4) = F (2) * F (2)% Test Number2 = 61 * 61 mod 97 = 35
      • F (8) = F (4) * F (4)% Test Number2 = 35 * 35 mod 97 = 61
      • F (16) = F (8) * F (8)% Test Number2 = 61 * 61 mod 97 = 35
      • F (32) = F (16) * F (16)% Test Number2 = 35 * 35 mod 97 = 61
      • F (64) = F (32) * F (32)% Test Number2 = 61 * 61 mod 97 = 35
      • F (128) = F (64) * F (64)% Test Number2 = 35 * 35 mod 97 = 61
    • Calculate the binary logarithm of TestNumber2 - 2
      • 97 - 2 = 95 = (1011111) base 2
      • MMI2 = ((((((F (64) * F (16)% 97) * F (8)% 97) * F (4)% 97) * F (2)% 97) * F (1)% 97)
      • MMI2 = (((((35 * 35)% 97) * 61)% 97) * 35% 97) * 61% 97) * 35% 97)
      • MMI2 = 61
  5. Calculate (Data1 * TestNumber2 * MMI1 + Data2 * TestNumber1 * MMI2)% (TestNumber1 * TestNumber)
    • Answer = (1 * 97 * 27 + 2 * 35 * 61)% (97 * 35)
    • Answer = (2619 + 4270)% 3395
    • Answer = 99
  6. Check that "TestNumber1" is not prime1
    • Calculate (Answer - Data1)% Test Number1
    • 99 -1 % 35 = 28
    • Since 28 is greater than 0, 35 is not prime
  7. Check if TestNumber2 is prime
    • Calculate (Answer - Data2)% Test Number2
    • 99 - 2 % 97 = 0
    • Since 0 equals 0, 97 is a potential prime number
  8. Repeat steps 1 to 7 at least two more times.
    • If step 7 equals 0:
      • Use a different "TestNumber1" if TestNumber1 is not prime.
      • Use another TestNumber1 where a TestNumber1 is actually prime. In this case, steps 6 and 7 are equal to 0.
      • Use different data points for data1 and data2.
    • If step 7 is always equal to 0, then the probability that number 2 is a prime number is very high.
    • Steps 1 through 7 are known to be incorrect in certain cases when the first number is not prime and the second is a prime factor of the non-prime number "Test Number1". It works in all scenarios where both numbers are prime.
    • The reason steps 1 through 7 are repeated is because there are a few scenarios where, even if TestNumber1 is not prime and TestNumber2 is not prime, either number from Step 7 is still zero. These conditions are rare. By changing TestNumber1 to another non-prime number, if TestNumber2 is not prime, TestNumber2 will no longer equal zero, in step 7. Except for the case where "TestNumber1" is a factor of TestNumber2, prime numbers will always be zero. are in step 7.


  • The 168 prime numbers under 1000 are: 2, 3, 5, 7, 11, 13, 17, 19, 23, 29, 31, 37, 41, 43, 47, 53, 59, 61, 67, 71, 73, 79, 83, 89, 97, 101, 103, 107, 109, 113, 127, 131, 137, 139, 149, 151, 157, 163, 167, 173, 179, 181, 191, 193, 197, 199, 211, 223, 227, 229, 233, 239, 241, 251, 257, 263, 269, 271, 277, 281, 283, 293, 307, 311, 313, 317, 331, 337, 347, 349, 353, 359, 367, 373, 379, 383, 389, 397, 401, 409, 419, 421, 431, 433, 439, 443, 449, 457, 461, 463, 467, 479, 487, 491, 499, 503, 509, 521, 523, 541, 547, 557, 563, 569, 571, 577, 587, 593, 599, 601, 607, 613, 617, 619, 631, 641, 643, 647, 653, 659, 661, 673, 677, 683, 691, 701, 709, 719, 727, 733, 739, 743, 751, 757, 761, 769, 773, 787, 797, 809, 811, 821, 823, 827, 829, 839, 853, 857, 859, 863, 877, 881, 883, 887, 907, 911, 919, 929, 937, 941, 947, 953, 967, 971, 977, 983, 991, 997
  • When trying to divide is slower than the more sophisticated methods, it is still efficient for smaller numbers. Even when testing larger numbers, it is not uncommon to check the small numbers first before switching to the more advanced methods.


  • Paper, pen, pencil and / or calculator for working out